What GOD already knew about Abuja (and didn’t want me to know)

## Attached: materials data
+++
# TmMg2MoH8
Theoretical powder X-ray diffraction pattern, a wavelength of 1.5418 Å. Input: DFT lattice parameters and positions (PBE).

The 8 most intense peaks (2θ = 15–90°), sorted by position:
Position (°2θ)	I/Imax
21.1	77
33.2	100
34.9	22
38.1	32
39.2	15
44.0	23
55.8	23
65.7	27

Crystal structure
Cell: 5.679 5.679 5.679 Å, 130.83 130.83 72.09°
Sites, in units of the cell vectors:
Tm1 0.000 0.000 0.000
Mg1 0.250 0.750 0.500
Mg2 0.500 0.500 0.000
Mo1 0.750 0.250 0.500
H1 0.105 0.133 0.512
H2 0.105 0.593 0.973
H3 0.407 0.379 0.512
H4 0.407 0.895 0.027
H5 0.621 0.133 0.027
H6 0.621 0.593 0.488
H7 0.867 0.379 0.973
H8 0.867 0.895 0.488


# Mg4HN2
Theoretical powder X-ray diffraction pattern, a wavelength of 1.5418 Å. Input: DFT lattice parameters and positions (PBE).

The 8 most intense peaks (2θ = 15–90°), sorted by position:
Position (°2θ)	I/Imax
17.4	100
34.2	51
34.4	27
38.8	49
40.6	96
54.0	22
56.9	34
58.0	34

Crystal structure
Cell: 5.519 3.180 5.647 Å, 90.00 112.41 90.00°
Sites, in units of the cell vectors:
Mg1 0.203 0.000 0.241
Mg2 0.204 0.501 0.745
Mg3 0.796 0.501 0.255
Mg4 0.797 0.000 0.759
H1 0.500 0.997 0.000
N1 0.000 0.000 0.500
N2 0.000 0.500 0.000


# Mg9H14N2
Theoretical powder X-ray diffraction pattern, a wavelength of 1.5418 Å. Input: DFT lattice parameters and positions (PBE).

The 8 most intense peaks (2θ = 15–90°), sorted by position:
Position (°2θ)	I/Imax
20.3	23
31.9	100
32.3	33
37.1	44
53.3	24
53.7	28
63.7	20
64.1	12

Crystal structure
Cell: 5.958 5.958 8.322 Å, 90.00 90.00 120.00°
Sites, in units of the cell vectors:
Mg1 0.000 0.000 0.000
Mg2 0.043 0.343 0.340
Mg3 0.301 0.957 0.340
Mg4 0.333 0.667 0.006
Mg5 0.343 0.301 0.660
Mg6 0.657 0.699 0.340
Mg7 0.667 0.333 0.994
Mg8 0.699 0.043 0.660
Mg9 0.957 0.657 0.660
H1 0.000 0.000 0.265
H2 0.000 0.000 0.735
H3 0.080 0.377 0.585
H4 0.098 0.748 0.897
H5 0.252 0.350 0.897
H6 0.297 0.920 0.585
H7 0.350 0.098 0.103
H8 0.377 0.297 0.415
H9 0.623 0.703 0.585
H10 0.650 0.902 0.897
H11 0.703 0.080 0.415
H12 0.748 0.650 0.103
H13 0.902 0.252 0.103
H14 0.920 0.623 0.415
N1 0.333 0.667 0.244
N2 0.667 0.333 0.756


# Mg2HN
Theoretical powder X-ray diffraction pattern, a wavelength of 1.5418 Å. Input: DFT lattice parameters and positions (PBE).

The 8 most intense peaks (2θ = 15–90°), sorted by position:
Position (°2θ)	I/Imax
25.4	43
34.2	36
35.6	51
38.4	100
44.5	45
54.1	38
60.2	46
75.3	23

Crystal structure
Cell: 4.073 6.858 3.217 Å, 90.00 90.00 90.00°
Sites, in units of the cell vectors:
Mg1 0.000 0.070 0.000
Mg2 0.000 0.657 0.001
Mg3 0.500 0.343 0.501
Mg4 0.500 0.930 0.500
H1 0.000 0.429 0.499
H2 0.500 0.571 0.999
N1 0.000 0.855 0.500
N2 0.500 0.145 0.000


# MgPH16NO10
Theoretical powder X-ray diffraction pattern, a wavelength of 1.5418 Å. Input: DFT lattice parameters and positions (PBE).

The 8 most intense peaks (2θ = 15–90°), sorted by position:
Position (°2θ)	I/Imax
15.6	60
16.5	23
20.9	100
21.4	34
26.8	34
30.4	70
31.6	36
33.4	93

Crystal structure
+++

Even though I feel like I am about to faint, I also KNOW that I need to write. I love having this outlet to express myself, and it feels like a GREAT WAY to end the day. So let’s blog shall we? Btw yawl, my mama Pastor M is blogging DAILY for 40 days on […]
How to believe God for a HOUSE!!!

I LOVE the title of this post walahi. Usually I think on posts wella before I write it. But this one came yesterday and I was too busy/tired to write it and so today, with a bit of time, I’m up to writing… Btw, feel free to replace ‘house’ with anything else you are in […]
What Price would you be willing to pay for a Ring?

Recently I asked on Twitter if it was true that till today in the year of our Lord 2014, men still throw the line ‘Get pregnant first before I marry’ and I amazingly got answers in the affirmative with most people even wondering what kinda no-brainer question that was. And frankly, it was a sincere […]
Jesus did NOT die for this…

*music* ‘There is Power in the name of Jesus… X3 To break every chain x 3’ Grammy award winner, Tasha Cobbs may not be very popular YET in 9ja but her ‘Break every chain’ song is one I sing EVERY DAY. That simple short song for me is beyond a song. Tz a prophecy. Tz […]

First things first, Happy Mother’s day to all the FABULOUS mothers out there…Both present, Past and Future. Motherhood is such a gift. And we shouldn’t take it lightly. For the sake of your children, and the world at large. So that you would not only be celebrated today (or the two other Mother’s day in […]
#FAB.Testifying.Delight… E' meets Ru

Hmmmmmm I start this post with a Hmmmmm cos I am truly amazed by God. And how He just orchestrates things. I was praying late last year and I recall I was especially praying for my inner circle friends and how to manage them better in 2014 especially as I can’t claim to have been […]
Let’s give ’em som’in to be proud about…

I love mentor-mentee relationships… Especially those within the kingdom. I love such phrases as… ‘…one of my sons was telling me…’ ‘…my father in the faith/Lord said…’ ‘…one of my mentees came to see me…’ I really look out for such phrases whenever I am listening to a message or reading a book. I know […]
Random Musings

RANDOM MUSINGS *in my Mexican accent* Holla…. *AIR KISSES* Today is a beautiful Sunday and the girl just feels like musing… Random stuff on my mind… LET’SSSSS First of all this cant be real na…? As in how is this possible? You know I have been writing an article in my head about stuff that […]